Contents:
- - -
(1)
Density functional theory data (PBE) for a relaxed BaNa2Mg crystal.

Cell lengths 5.1600, 5.1600, 26.0262 Å; angles 90.00, 90.00, 90.00 degrees
Space group I-42d (No. 122)
Symmetry-distinct sites (fractional):
Ba (0.0000, 0.0000, 0.0000) [4 per cell]
Na (0.2020, 0.2500, 0.6250) [8 per cell]
Mg (0.0000, 0.0000, 0.5000) [4 per cell]

***

(2)
Density functional theory data (PBE) for a relaxed Ba6Na5Mg crystal.

Cell lengths 6.5201, 9.2937, 10.3184 Å; angles 90.00, 108.37, 90.00 degrees
Space group P2/m (No. 10)
Symmetry-distinct sites (fractional):
Ba (0.0000, 0.2332, 0.0000) [2 per cell]
Ba (0.3424, 0.2405, 0.6818) [4 per cell]
Na (0.1681, 0.5000, 0.3396) [2 per cell]
Na (0.1686, 0.0000, 0.3411) [2 per cell]
Na (0.5000, 0.5000, 0.0000) [1 per cell]
Mg (0.5000, 0.0000, 0.0000) [1 per cell]

***

(3)
Density functional theory data (PBE) for a relaxed Ba12Na6Mg crystal.

Cell lengths 13.9803, 13.9803, 18.0306 Å; angles 90.00, 90.00, 120.00 degrees
Space group R-3 (No. 148, hexagonal axes)
Symmetry-distinct sites (fractional):
Ba (0.0325, 0.1842, 0.3227) [18 per cell]
Ba (0.0551, 0.8466, 0.9066) [18 per cell]
Na (0.0425, 0.4417, 0.2039) [18 per cell]
Mg (0.0000, 0.0000, 0.5000) [3 per cell]

***

DFT total energy? In order: -1.37 -1.64 -1.66 eV/atom.
Magnetization? In order: 0.000 0.000 0.000 Bohr magnetons per cell.
ΔE_f? In order: 0.168 -0.001 0.056 eV/atom.

----------

Record 1
Entry from the Alexandria database: a relaxed Eu3V5P12 crystal (GGA-PBE).

```
Eu3V5P12
1.0
-7.517 7.517 7.517
7.517 -7.517 7.517
7.517 7.517 -7.517
Eu V P
12 20 48
Cartesian
3.758 1.879 0.000
7.517 3.758 -1.879
1.879 0.000 3.758
9.396 0.000 3.758
0.000 3.758 1.879
3.758 -1.879 7.517
3.758 9.396 0.000
7.517 3.758 5.638
-1.879 7.517 3.758
5.638 7.517 3.758
0.000 3.758 9.396
3.758 5.638 7.517
0.000 0.000 0.000
3.758 3.758 -3.758
3.758 -3.758 3.758
7.517 0.000 0.000
11.275 1.879 0.000
7.517 -3.758 5.638
5.638 7.517 -3.758
5.638 0.000 3.758
3.758 5.638 0.000
7.517 3.758 1.879
-3.758 3.758 3.758
0.000 7.517 0.000
0.000 0.000 7.517
3.758 3.758 3.758
0.000 3.758 5.638
3.758 1.879 7.517
1.879 7.517 3.758
1.879 0.000 11.275
0.000 11.275 1.879
-3.758 5.638 7.517
1.925 -1.029 1.071
9.350 4.830 -4.787
6.488 -1.071 1.925
12.304 -1.834 2.687
1.071 1.925 -1.029
10.204 2.730 -1.834
9.442 1.029 1.071
9.350 -2.687 4.787
4.830 4.787 -1.834
6.446 1.925 1.029
-1.029 1.071 1.925
4.787 -1.834 4.830
6.488 6.446 -1.925
4.787 1.834 2.687
6.446 -1.925 6.488
4.830 -4.787 9.350
1.925 6.488 -1.071
9.350 2.687 2.730
2.687 4.787 1.834
8.588 5.592 1.029
4.787 9.350 -2.687
6.488 1.071 5.592
1.834 2.687 4.787
1.925 1.029 6.446
5.592 6.488 1.071
5.683 4.830 2.730
1.029 6.446 1.925
2.730 -1.834 10.204
-1.071 1.925 6.488
4.830 2.730 5.683
-1.834 4.830 4.787
5.592 1.029 8.588
2.687 12.304 -1.834
1.071 9.442 1.029
2.730 5.683 4.830
1.029 1.071 9.442
2.730 9.350 2.687
8.546 6.446 5.592
1.071 5.592 6.488
2.687 2.730 9.350
-1.834 10.204 2.730
-1.925 6.488 6.446
-2.687 4.787 9.350
6.446 5.592 8.546
-4.787 9.350 4.830
1.029 8.588 5.592
-1.834 2.687 12.304
5.592 8.546 6.446
```

The formation energy comes out at -254 meV/atom. The value obtained for the raw total energy is -7.32 eV per atom.

---

Record 2
Entry from the Alexandria database: a relaxed EuP2W crystal (GGA-PBE).

```
EuP2W
1.0
3.139 0.000 0.000
0.000 3.139 0.000
0.000 0.000 7.030
Eu P W
1 2 1
Cartesian
0.000 0.000 0.000
1.569 1.569 2.132
1.569 1.569 4.898
0.000 0.000 3.515
```

The formation energy comes out at -480 meV/atom. As for the energy relative to the lowest polymorph listed for this composition: 0.117 eV/atom. The value obtained for the raw total energy is -8.99 eV per atom.

---

Record 3
Entry from the Alexandria database: a relaxed EuP2W crystal (GGA-PBE).

```
EuP2W
1.0
1.847 1.066 6.455
-1.847 1.066 6.455
0.000 -2.133 6.455
Eu P W
1 2 1
Cartesian
0.000 0.000 0.000
0.000 0.000 4.561
0.000 0.000 14.804
0.000 0.000 9.683
```
- - -
Job:
Say how many lines of the data further up hold the word "order", as a bare number.
Reply:
3